(Wanted)
What is needed: type out the whole of the rows further below verbatim.

(File)
=====
BaNaGdWO6 GGA+U relaxed; raw total energy = -8.032 eV/atom; E_form = -2.89 eV/atom; total moment = 7.00 Bohr magnetons per cell; energy with MP2020 corrections = -0.6532 Ry per atom; ρ = 6.53 g cm⁻³
1.0
0.000 -4.235 -4.235
4.235 0.000 -4.235
4.235 -4.235 0.000
O Gd Na Ba W
6 1 1 1 1
direct
0.731 0.731 0.269
0.731 0.269 0.269
0.731 0.269 0.731
0.269 0.731 0.269
0.269 0.731 0.731
0.269 0.269 0.731
=====

(Solution)
BaNaGdWO6 GGA+U relaxed; raw total energy = -8.032 eV/atom; E_form = -2.89 eV/atom; total moment = 7.00 Bohr magnetons per cell; energy with MP2020 corrections = -0.6532 Ry per atom; ρ = 6.53 g cm⁻³
1.0
0.000 -4.235 -4.235
4.235 0.000 -4.235
4.235 -4.235 0.000
O Gd Na Ba W
6 1 1 1 1
direct
0.731 0.731 0.269
0.731 0.269 0.269
0.731 0.269 0.731
0.269 0.731 0.269
0.269 0.731 0.731
0.269 0.269 0.731